An object, in normal language, refers to physical items that you can see, touch, or feel. Objects usually have properties associated with them.  Such  properties can include nameageshape, size, color, etc. They can also perform actions for example, a dog can bark, walk, eat, play, among other things.

Well in software engineering, Objects are not necessarily things that we can, pick up,  see, touch, or feel. However,  they are models of real life objects  that can do such things. The best example of a software object is a character in a modern video game.

(Between two parts of the text: records of crystals)
____________
# MnVBiO5
Simulated powder diffractogram, λ = 1.5418 Å (Cu Kα). Input: DFT lattice parameters and positions (PBE+U).

Peak list (6 most intense, 10° ≤ 2θ ≤ 90°, in order of rising 2θ)
17.1°, I 100; 17.9°, I 49; 27.9°, I 75; 30.5°, I 72; 32.7°, I 71; 51.0°, I 45

Crystal structure
```
MnVBiO5
1.0
3.545 -4.951 0.000
3.545 4.951 0.000
-3.121 0.000 6.587
Mn V Bi O
2 2 2 10
direct
0.000 0.000 0.000 Mn
0.000 0.000 0.500 Mn
0.327 0.673 0.750 V
0.673 0.327 0.250 V
0.293 0.707 0.250 Bi
0.707 0.293 0.750 Bi
0.086 0.914 0.250 O
0.111 0.657 0.884 O
0.246 0.388 0.577 O
0.343 0.889 0.616 O
0.388 0.246 0.077 O
0.612 0.754 0.923 O
0.657 0.111 0.384 O
0.754 0.612 0.423 O
0.889 0.343 0.116 O
0.914 0.086 0.750 O
```
____________

Objects are entities in a program that are made up of data(properties) and behaviors (actions). They enable developers to model real-world objects and scenarios. For example, an object representing a character in a video game can contain properties such as name, health, maximum speed, etc.  and actions such as attack, fire, run, etc

If you are not absolutely new to Python (or any other object-oriented language), you have already, in one way or another, interacted with objects. 

Object-oriented programming (OOP) is a type of programming that is centered around the concept of objects. 

Objects and Classes

So an object is a collection of data  and associated behaviors. But how do we differentiate between different objects?. While  a human and a car are both objects, the data and behaviors associated with them are entirely different.  Classes are the blueprints from which individual objects are created. Thus two cars will belong to the same class but a human and a car will belong to different classes.

A class defines the data and behaviors that an object of that class should contain. Thus, when creating different kinds of objects, we can use classes to establish a common set of data and behaviors. This allows us to differentiate between different objects while also ensuring that they share similar set of data and behaviors.  So while two humans might have different names, or two cars might be of different colors, they both share a common set of data  i.e they both have a name and color associated with each of them(respectively).

A class is an abstract thing, it provides a structure or template that defines the properties and methods that an object of the class will possess. It also provides the basis for creating objects of that class, which are unique and have their own values.

Attributes and Methods

Objects contains data(properties) and behaviors(actions).

Data/Properties Describe objects

Properties are typically used to store information about an individual object, such as its size, shape, color, or properties of any other type. Objects belonging to the same class will have same set of properties. For example all cars have make, model, year, color, engine, etc. Obviously, different cars may have different values for a particular property.

Another common use of properties is to define relationships between objects. In an object-oriented design, when two classes are related, properties can be used to link them. This allows for an object to contain references to other objects, which can be used to model complex relationships between objects.  For example a human can own a car, In which case a human object will have a property referencing an instance of a car class.

Defining properties is done just like how we set normal variables but within a class.

Other names used to refer to properties include members and attributes.

Behavior are Actions

Behaviors in object related programming refers to actions that determines how object interacts with the rest of the program. These behaviors are called methods of that object. They are  invoked when a particular event happens or when a direct call is made to the method. They are typically implemented as special functions, performing an action is simply calling the relevant method/function.

For example a fighter in a modern video game can have a method called  attack() which when invoked,  may cause the fighter to move toward the enemy and launch a series of physical attacks or attacks using weapons.

The name "method" is mostly reserved for functions that are associated with an object/class while the name 'function'  is used for the normal/traditional functions i.e those that are not associated with an object or a class.

Abstraction in Object Oriented Programming

Abstraction is the process of representing the essential details of an object while hiding away the non-essential details. For example  in case of a car object, some of the things that might be relevant to the user or other objects interacting with the car object  maybe things such as the Make , the model , cost, etc. While it may not be relevant to tell the end user the number of cylinders in the engine, the number of valves in the engine, etc. 

Remember that an object is used by other objects in the program as well as the end users. For example the characters and other objects written by a game developer  will be interacted with by the end user when playing the game. Abstraction, therefore, helps in hiding unnecessary details about each object from the user.

Abstraction allows the distinction between the public interface and  private implementation details of an object. Each object have its own implementation details that are hidden from the outside. This makes it easier to change or extend the implementations without affecting the other objects as long as the public interface remains the same.

Abstraction aims at showing the end user the most relevant details to them. By presenting only what is relevant to the user, it eliminates any confusion caused by unnecessary complexity.


Composition is  a technique used when an object is made up of other objects and its functionality relies on the other objects. With composition, an object can be composed of one or more other objects also called components. The composed object has the combined behavior of all its components.

For example a car is composed of an engine, wheels, etc. The behavior of the car is determined by the behavior of each individual component. Thus if we are defining a car object, we can define the various components differently then combine them to form end object. for example we might have a separate Engine class, Wheel class, etc.

Composition  in OOP is a powerful technique because  it allows us to create objects that interact with each other in an organized structure. This aids in creating complex software programs that are more extensible, maintainable, and performant.


Inheritance is a fundamental concept of OOP and it is one of the main characteristics that distinguishes OOP from other programming paradigms. It is also the over-used relationship in object-oriented programming. 

Inheritance allows classes to reuse, extend, and modify the behavior of existing classes. This increases code clarity by allowing developers to create hierarchical structures and a better organization of object classes. For example in a case where we have a car and a truck.  It would be trivial and redundant  to define both of this classes from scratch. This is because a car and a truck have far more in common than they have  different.  With inheritance, you can define a class for the more general concept of a Vehicle, and then define separate classes for cars and trucks which 'inherit' their characteristics from the parent class i.e Vehicle. This allows you to define each type of vehicle by only specifying the features that are unique to it and which separates each from other type of vehicles..

Inheritance aids in creating classes that share common characteristics and behaviors. This allows us to write code that is easier to maintain and reuse, as well as allowing us to easily add features and modify existing ones without having to rewrite the whole class from scratch.

The class that unites the several classes is called the "base class" or the "parent class". Any class that inherits from a base class is called a derived class.  For example the Vehicle class is the base class while Car and Truck are derived classes.

It is also common to use multiple inheritance in which case one class inherits characteristics and features from more than one base classes. This helps in modeling real-world relationships and problems more accurately and efficiently. Making it easier to develop a more finely grained, complex system that better reflects the real world.